What to do:
Work out how many lines further below have the word "shown" in them; a number is enough.

Material:
~~~
## MgB4Mo (PBE-GGA)

Data for MgB4Mo after structural relaxation.

Results
As for the excess energy over the best structure of this formula in the dataset: 0.00 eV per formula unit. The space group is Immm. The calculated total energy is -41.06 eV for the cell shown.

Lattice parameters (Å, degrees): 4.5082 4.5082 4.5082 140.74 108.33 84.90
Positions (direct):
Mo 0.5000 0.5000 0.0000
B 0.9142 0.2521 0.6621
B 0.4100 0.7479 0.6621
B 0.0858 0.7479 0.3379
B 0.5900 0.2521 0.3379
Mg 0.0000 0.0000 0.0000

=====

## MgB4Mo (PBE-GGA)

Data for MgB4Mo after structural relaxation.

Results
As for the excess energy over the best structure of this formula in the dataset: 0.20 eV per formula unit. The space group is P6/mmm. The calculated total energy is -40.86 eV for the cell shown.

Lattice parameters (Å, degrees): 3.0051 3.0051 6.9844 90.00 90.00 120.00
Positions (direct):
B 0.3333 0.6667 0.2575
B 0.6667 0.3333 0.7428
B 0.3333 0.6667 0.7425
B 0.6667 0.3333 0.2572
Mg 0.0000 0.0000 0.0000
Mo 0.0000 0.0000 0.5000

=====

## MgReBMo (PBE-GGA)

Data for MgReBMo after structural relaxation.

Results
As for the excess energy over the best structure of this formula in the dataset: 0.00 eV per formula unit. The space group is F-43m. The calculated total energy is -29.51 eV for the cell shown.

Lattice parameters (Å, degrees): 4.2195 4.2195 4.2195 60.00 60.00 60.00
Positions (direct):
Mo 0.0000 0.0000 0.0000
Mg 0.7500 0.7500 0.7500
B 0.5000 0.5000 0.5000
Re 0.2500 0.2500 0.2500

=====

## MgReBMo (PBE-GGA)

Data for MgReBMo after structural relaxation.

Results
As for the excess energy over the best structure of this formula in the dataset: 1.69 eV per formula unit. The space group is F-43m. The calculated total energy is -27.83 eV for the cell shown.

Lattice parameters (Å, degrees): 4.2000 4.2000 4.2000 60.00 60.00 60.00
Positions (direct):
Re 0.5000 0.5000 0.5000
Mo 0.0000 0.0000 0.0000
B 0.2500 0.2500 0.2500
Mg 0.7500 0.7500 0.7500

=====

## Mg2NbB (PBE-GGA)

Data for Mg2NbB after structural relaxation.

Results
The space group is F-43m. The calculated total energy is -16.81 eV for the cell shown.

Lattice parameters (Å, degrees): 4.4157 4.4157 4.4157 60.00 60.00 60.00
Positions (direct):
Nb 0.2500 0.2500 0.2500
Mg 0.7500 0.7500 0.7500
Mg 0.0000 0.0000 0.0000
B 0.5000 0.5000 0.5000

=====

## Mg2NbB6 (PBE-GGA)

Data for Mg2NbB6 after structural relaxation.

Results
The space group is Pbam. The calculated total energy is -218.54 eV for the cell shown.

Lattice parameters (Å, degrees): 9.1839 11.2602 3.4886 90.00 90.00 90.00
Positions (direct):
Nb 0.8520 0.8200 0.0000
Nb 0.6480 0.3200 0.0000
Nb 0.3520 0.6800 0.0000
Nb 0.1480 0.1800 0.0000
B 0.1298 0.3234 0.5000
B 0.5541 0.4379 0.5000
B 0.3015 0.2417 0.5000
B 0.7633 0.4245 0.5000
B 0.5197 0.7114 0.5000
B 0.5917 0.0254 0.5000
B 0.6985 0.7583 0.5000
B 0.4803 0.2887 0.5000
B 0.1985 0.7417 0.5000
B 0.0917 0.4746 0.5000
B 0.2633 0.0755 0.5000
B 0.9803 0.2114 0.5000
B 0.6298 0.1766 0.5000
B 0.2367 0.5755 0.5000
B 0.7367 0.9245 0.5000
B 0.3702 0.8234 0.5000
B 0.4459 0.5621 0.5000
B 0.0197 0.7887 0.5000
B 0.0541 0.0621 0.5000
B 0.4083 0.9746 0.5000
B 0.8015 0.2583 0.5000
B 0.8702 0.6766 0.5000
B 0.9083 0.5254 0.5000
B 0.9459 0.9379 0.5000
Mg 0.9486 0.3743 0.0000
Mg 0.6701 0.5886 0.0000
Mg 0.5514 0.8743 0.0000
Mg 0.1701 0.9114 0.0000
Mg 0.3299 0.4114 0.0000
Mg 0.4486 0.1257 0.0000
Mg 0.8299 0.0886 0.0000
Mg 0.0514 0.6257 0.0000

=====

## MgNb2B (PBE-GGA)

Data for MgNb2B after structural relaxation.

Results
The space group is F-43m. The calculated total energy is -25.33 eV for the cell shown.

Lattice parameters (Å, degrees): 4.4393 4.4393 4.4393 60.00 60.00 60.00
Positions (direct):
Mg 0.2500 0.2500 0.2500
Nb 0.0000 0.0000 0.0000
Nb 0.7500 0.7500 0.7500
B 0.5000 0.5000 0.5000

=====

## MgNbNiB (PBE-GGA)

Data for MgNbNiB after structural relaxation.

Results
~~~

Worked solution:
7